Mark 6:30-44 Matthew 14:13-21, Luke 9:10-17, John 6:5-13 Jesus feeds 5000 people with 5 loaves and 2 fish
Here the text breaks off for calculated crystals =
'''
1.
LuVO4, optimized geometry, DFT PBE with a Hubbard U; calculated formation energy = -3.18 eV per atom; symmetry = I4_1/a, No. 88; ρ = 6.9 g/cm³
1.0
-2.509 2.509 5.522
2.509 -2.509 5.522
2.509 2.509 -5.522
O Lu V
8 2 2
Direct
0.177 0.072 0.412 O
0.091 0.485 0.912 O
0.659 0.765 0.588 O
0.928 0.341 0.105 O
0.235 0.823 0.895 O
0.515 0.427 0.605 O
0.822 0.909 0.395 O
0.573 0.178 0.088 O
0.250 0.750 0.500 Lu
0.500 0.500 0.000 Lu
0.750 0.250 0.500 V
0.000 0.000 0.000 V


2.
MnO2, optimized geometry, DFT PBE with a Hubbard U; calculated formation energy = -1.81 eV per atom; symmetry = C2/m, No. 12; ρ = 4.0 g/cm³
1.0
-1.708 0.796 -2.238
-0.765 -6.191 -3.525
-6.546 -1.081 2.703
O Mn
8 4
Direct
0.164 0.294 0.380 O
0.845 0.953 0.362 O
0.458 0.379 0.710 O
0.544 0.624 0.293 O
0.157 0.049 0.641 O
0.836 0.709 0.624 O
0.795 0.362 0.050 O
0.206 0.641 0.953 O
0.167 0.486 0.183 Mn
0.652 0.183 0.517 Mn
0.834 0.516 0.820 Mn
0.349 0.820 0.486 Mn


3.
Fe5O7, optimized geometry, DFT PBE with a Hubbard U; calculated formation energy = -1.46 eV per atom; symmetry = Cmcm, No. 63; ρ = 4.5 g/cm³
1.0
1.499 -5.058 0.000
1.499 5.058 0.000
0.000 0.000 19.081
Fe O
10 14
Direct
0.475 0.525 0.838 Fe
0.000 0.000 0.500 Fe
0.263 0.737 0.425 Fe
0.263 0.737 0.075 Fe
0.475 0.525 0.662 Fe
0.737 0.263 0.575 Fe
0.525 0.475 0.162 Fe
0.737 0.263 0.925 Fe
0.000 0.000 0.000 Fe
0.525 0.475 0.338 Fe
0.649 0.351 0.473 O
0.101 0.899 0.600 O
0.101 0.899 0.900 O
0.546 0.454 0.750 O
0.852 0.148 0.655 O
0.148 0.852 0.155 O
0.899 0.101 0.400 O
0.852 0.148 0.845 O
0.899 0.101 0.100 O
0.351 0.649 0.527 O
0.649 0.351 0.027 O
0.351 0.649 0.973 O
0.148 0.852 0.345 O
0.454 0.546 0.250 O


4.
Ba2TaMnO6, optimized geometry, DFT PBE with a Hubbard U; calculated formation energy = -3.07 eV per atom; symmetry = Pnma, No. 62; ρ = 7.2 g/cm³
1.0
-4.169 4.169 0.000
-8.305 -8.306 0.000
0.000 0.000 8.043
Ta O Mn Ba
4 24 4 8
Direct
0.516 0.500 0.250 Ta
0.984 0.250 0.750 Ta
0.016 0.750 0.750 Ta
0.484 0.000 0.250 Ta
0.775 0.624 0.250 O
0.480 0.001 0.998 O
0.716 0.882 0.250 O
0.980 0.249 0.002 O
0.020 0.749 0.498 O
0.020 0.749 0.002 O
0.768 0.377 0.250 O
0.480 0.001 0.502 O
0.520 0.500 0.502 O
0.276 0.626 0.750 O
0.224 0.124 0.250 O
0.232 0.877 0.250 O
0.268 0.873 0.750 O
0.292 0.621 0.250 O
0.792 0.629 0.750 O
0.284 0.382 0.250 O
0.520 0.501 0.998 O
0.980 0.249 0.498 O
0.784 0.868 0.750 O
0.708 0.121 0.250 O
0.732 0.373 0.750 O
0.724 0.126 0.750 O
0.216 0.368 0.750 O
0.208 0.129 0.750 O
0.488 0.001 0.750 Mn
0.012 0.749 0.250 Mn
0.512 0.501 0.750 Mn
0.988 0.249 0.250 Mn
0.013 0.500 0.000 Ba
0.487 0.250 0.000 Ba
0.513 0.750 0.000 Ba
0.487 0.250 0.500 Ba
0.987 0.000 0.500 Ba
0.013 0.500 0.500 Ba
0.513 0.750 0.500 Ba
0.987 0.000 0.000 Ba


5.
MgFe3Co2SbP6O24, optimized geometry, DFT PBE with a Hubbard U; calculated formation energy = -2.27 eV per atom; symmetry = P1, No. 1; ρ = 3.4 g/cm³
1.0
-4.166 2.175 -7.601
-0.291 8.396 -2.649
4.758 2.613 -6.922
P O Co Fe Mg Sb
6 24 2 3 1 1
Direct
0.735 0.466 0.053 P
0.214 0.961 0.263 P
'''
Overview Background and context The people follow Jesus The people listen to Jesus Jesus feeds the people So what? Questions and comments?
# Between two parts of the text: records of crystals
********
1.
## Rb2U2O5 (PBE)

Data for a relaxed Rb2U2O5 crystal.

Summary:
Its space-group type is P4/mmm (123).

Unit cell a=4.370 b=4.370 c=9.083 alpha=90.00 beta=90.00 gamma=90.00
Fractional coordinates of all 9 atoms:
Rb 0.000 0.000 0.000
Rb 0.000 0.000 0.500
U 0.500 0.500 0.238
U 0.500 0.500 0.762
O 0.000 0.500 0.261
O 0.000 0.500 0.739
O 0.500 0.000 0.261
O 0.500 0.000 0.739
O 0.500 0.500 0.000


2.
## Rb2UO4 (PBE)

Data for a relaxed Rb2UO4 crystal.

Summary:
Its space-group type is I4/mmm (139).

Unit cell a=7.745 b=7.745 c=7.745 alpha=147.08 beta=147.08 gamma=47.24
Fractional coordinates of all 7 atoms:
Rb 0.154 0.154 0.000
Rb 0.846 0.846 0.000
U 0.500 0.500 0.000
O 0.000 0.500 0.500
O 0.362 0.362 0.000
O 0.500 0.000 0.500
O 0.638 0.638 0.000


| no. | formation enthalpy at 0 K (kJ/mol of atoms) |
| --- | --- |
| 1 | -287.4 |
| 2 | -293.6 |

* * * * *

Record 1
# MnCu2GeS4 | the Materials Project | GGA-PBE | relaxed
# * formation energy from the elements: -0.65 eV/atom
# * V: 308 Å³ per cell
# * largest piezoelectric modulus: 0.3 C/m²
# * total energy after the MP2020 corrections: -5.467 eV per atom
# * final energy: -5.216 eV per atom
data_MnCu2GeS4
_chemical_formula_sum 'Mn2 Cu4 Ge2 S8'
_cell_length_a 7.593
_cell_length_b 6.504
_cell_length_c 6.240
_cell_angle_alpha 90.00
_cell_angle_beta 90.00
_cell_angle_gamma 90.00
_space_group_name_H-M_alt 'P m n 21'
_space_group_IT_number 31
_space_group_name_Hall 'P 2ac -2'
loop_
_atom_site_label
_atom_site_fract_x
_atom_site_fract_y
_atom_site_fract_z
Mn1 0.000 0.159 0.000
Cu1 0.249 0.325 0.507
Ge1 0.000 0.826 0.500
S1 0.000 0.157 0.384
S2 0.000 0.816 0.864
S3 0.242 0.659 0.375

***

Record 2
# MnCu2GeTe4 | the Materials Project | GGA-PBE | relaxed
# * formation energy from the elements: -0.31 eV/atom
# * V: 449 Å³ per cell
# * total energy after the MP2020 corrections: -4.633 eV per atom
# * final energy: -4.422 eV per atom
data_MnCu2GeTe4
_chemical_formula_sum 'Mn2 Cu4 Ge2 Te8'
_cell_length_a 6.113
_cell_length_b 6.113
_cell_length_c 12.021
_cell_angle_alpha 90.00
_cell_angle_beta 90.00
_cell_angle_gamma 90.00
_space_group_name_H-M_alt 'I -4 2 m'
_space_group_IT_number 121
_space_group_name_Hall 'I -4 2'
loop_
_atom_site_label
_atom_site_fract_x
_atom_site_fract_y
_atom_site_fract_z
Mn1 0.000 0.000 0.000
Cu1 0.000 0.500 0.250
Ge1 0.000 0.000 0.500
Te1 0.248 0.248 0.367

***

Record 3
# CuGe2N3 | the Materials Project | GGA-PBE | relaxed
# * formation energy from the elements: -0.10 eV/atom
# * V: 277 Å³ per cell
# * total energy after the MP2020 corrections: -6.490 eV per atom
# * final energy: -6.309 eV per atom
data_CuGe2N3
_chemical_formula_sum 'Cu4 Ge8 N12'
_cell_length_a 9.581
_cell_length_b 5.536
_cell_length_c 5.215
_cell_angle_alpha 90.00
_cell_angle_beta 90.00
_cell_angle_gamma 90.00
_space_group_name_H-M_alt 'C m c 21'
_space_group_IT_number 36
_space_group_name_Hall 'C 2c -2'
loop_
_atom_site_label
_atom_site_fract_x
_atom_site_fract_y
_atom_site_fract_z
Cu1 0.000 0.160 0.000
********
Background and introductory comments Don’t want to look at – the reliability of the account – Jesus compassion (in a general sense) Details from other gospels –Matthew 14:21 – 5000 men besides women & children –John 6:8 – food brought by a small boy –John 6:14-15 – The people: recognised Jesus as a “great prophet” started to talk about making him king
Context Jesus had sent out the 12 to preach and heal the sick John the Baptist has just been beheaded The 12 return and report to Jesus all that they have done and taught The people were crowding round Jesus Jesus leads his disciples away to a “quiet place”
So what? Are we willing to make sacrifices when serving King Jesus? Service is for everyone – not just the experienced and knowledgeable We must recognise that service is tiring We must look after ourselves to be of ongoing use to the Lord
The people follow Jesus People from villages all around ran to where they were going Jesus doesn’t see them as a problem or inconvenience Jesus saw them as lost sheep without a shepherd Jesus had compassion and taught them many things
So what? Are we praying that the Lord would cause spiritually hungry people to seek him? How do we feel when people need our attention? Do we see sharing the gospel and teaching as acts of compassion? Are we praying that God will raise up leaders and teachers amongst us?
_Someone pasted data records at this point_
'''
## 1
# GGA-PBE Sr2LiTa2N2O4, optimized geometry
# Theoretical density ... 7474 kg/m3
# Size of the total moment ... 0.000 μB/f.u.
data_Sr2LiTa2N2O4
_space_group_name_H-M_alt 'P 1'
_space_group_IT_number 1
_space_group_name_Hall 'P 1'
_cell_length_a 5.887
_cell_length_b 5.782
_cell_length_c 5.875
_cell_angle_alpha 60.66
_cell_angle_beta 58.88
_cell_angle_gamma 60.46
loop_
_atom_site_label
_atom_site_type_symbol
_atom_site_fract_x
_atom_site_fract_y
_atom_site_fract_z
Sr1 Sr 0.213 0.787 0.213
Sr2 Sr 0.787 0.213 0.787
Li1 Li 0.427 0.427 0.573
Ta1 Ta 0.489 0.976 0.511
Ta2 Ta 0.976 0.489 0.024
N1 N 0.231 0.231 0.269
N2 N 0.731 0.731 0.769
O1 O 0.205 0.205 0.795
O2 O 0.265 0.700 0.735
O3 O 0.700 0.265 0.300
O4 O 0.766 0.766 0.234


## 2
# GGA-PBE Sr2LiTa2N2O4, optimized geometry
# Theoretical density ... 7494 kg/m3
# Size of the total moment ... 0.000 μB/f.u.
data_Sr2LiTa2N2O4
_space_group_name_H-M_alt 'P 1'
_space_group_IT_number 1
_space_group_name_Hall 'P 1'
_cell_length_a 5.779
_cell_length_b 5.779
_cell_length_c 5.893
_cell_angle_alpha 119.81
_cell_angle_beta 119.81
_cell_angle_gamma 89.14
loop_
_atom_site_label
_atom_site_type_symbol
_atom_site_fract_x
_atom_site_fract_y
_atom_site_fract_z
Sr1 Sr 0.199 0.199 0.408
Sr2 Sr 0.801 0.801 0.592
Li1 Li 0.500 0.500 0.000
Ta1 Ta 0.000 0.500 0.000
Ta2 Ta 0.500 0.000 0.000
N1 N 0.249 0.751 0.000
N2 N 0.751 0.249 0.000
O1 O 0.229 0.771 0.500
O2 O 0.274 0.274 0.037
O3 O 0.726 0.726 0.963
O4 O 0.771 0.229 0.500


Quick one: most stable of them? 2


## 1
# GGA-PBE LiPbN, optimized geometry
# Theoretical density ... 7115 kg/m3
# Size of the total moment ... 0.000 μB/f.u.
data_LiPbN
_space_group_name_H-M_alt 'P 1'
_space_group_IT_number 1
_space_group_name_Hall 'P 1'
_cell_length_a 11.367
_cell_length_b 3.363
_cell_length_c 5.571
_cell_angle_alpha 90.00
_cell_angle_beta 90.00
_cell_angle_gamma 90.00
loop_
_atom_site_label
_atom_site_type_symbol
_atom_site_fract_x
_atom_site_fract_y
_atom_site_fract_z
Li1 Li 0.070 0.250 0.031
Li2 Li 0.430 0.750 0.531
Li3 Li 0.570 0.250 0.469
Li4 Li 0.930 0.750 0.969
Pb1 Pb 0.131 0.250 0.500
Pb2 Pb 0.369 0.750 0.000
Pb3 Pb 0.631 0.250 0.000
Pb4 Pb 0.869 0.750 0.500
N1 N 0.044 0.750 0.256
N2 N 0.456 0.250 0.756
N3 N 0.544 0.750 0.244
N4 N 0.956 0.250 0.744


## 2
# GGA-PBE LiPbN, optimized geometry
# Theoretical density ... 7090 kg/m3
# Size of the total moment ... 0.000 μB/f.u.
data_LiPbN
_space_group_name_H-M_alt 'P 1'
_space_group_IT_number 1
_space_group_name_Hall 'P 1'
_cell_length_a 3.711
_cell_length_b 3.711
_cell_length_c 4.481
_cell_angle_alpha 90.00
_cell_angle_beta 90.00
_cell_angle_gamma 120.00
loop_
_atom_site_label
_atom_site_type_symbol
_atom_site_fract_x
_atom_site_fract_y
_atom_site_fract_z
Li1 Li 0.000 0.000 0.000
Pb1 Pb 0.667 0.333 0.500
N1 N 0.667 0.333 0.000


Quick one: most stable of them? 1


## 1
# GGA-PBE LiReN2, optimized geometry
# Theoretical density ... 7221 kg/m3
# Size of the total moment ... 0.000 μB/f.u.
data_LiReN2
_space_group_name_H-M_alt 'P 1'
'''
The people lost track of the time They were enthralled by Jesus teaching – Wanted to hear Him – Unconcerned about their physical needs The disciples draw Jesus’ attention to the problem Jesus puts the problem back to them! They missed the point!
So what? When was the last time we lost track of time in prayer / study / worship? Are we learning leadership and taking responsibility? Are we consistent in faith and service?
Jesus feeds the people Have all the people sit down Jesus gave thanks to God as was the tradition Don’t know precisely how this happened Everyone was satisfied Gathered up the left-overs – Gathered up more than they started with – Didn’t want to waste what God had provided
So what? Jesus can take the smallest resources and do great things with them Do we believe the gospel is able to satisfy every need? Do we want to make the best use of every blessing that God gives us?
Today’s take-away Are we ready to make sacrificial use of whatever gifts God has given us? Are we praying that He will place this hunger in unbelievers and that He will cause them to find the answer in Him? Are we looking after ourselves and each other? Are we so passionate about the Lord that we lose track of time with Him?